-- What to do --
It remains to echo every line below that contains the word "atom".

-- Contents --
........
Record 1
# K3Sr | Alexandria via LeMat-Bulk | PBEsol | relaxed
data_K3Sr
_cell_length_a 4.400
_cell_length_b 7.413
_cell_length_c 7.894
_cell_angle_alpha 90.00
_cell_angle_beta 90.00
_cell_angle_gamma 90.00
_symmetry_space_group_name_H-M 'P m m 2'
_symmetry_Int_Tables_number 25
loop_
_symmetry_equiv_pos_as_xyz
'x,y,z'
'-x,-y,z'
'-x,y,z'
'x,-y,z'
loop_
_atom_site_label
_atom_site_fract_x
_atom_site_fract_y
_atom_site_fract_z
K1 0.000 0.000 0.000
K2 0.000 0.500 0.328
K3 0.500 0.000 0.510
Sr1 0.500 0.500 0.829
# Distance to the lowest polymorph of the same formula (eV/atom): 0.034
# Fermi-level density of states (states/eV/cell): 3.697
# Calculated density (g/cm3): 1.32
# Formation energy (eV per atom): 0.0928
# Size of the total moment (Bohr magnetons per cell): 0.00
# E (eV/atom): -1.22

***

Record 2
# YPOs | Alexandria via LeMat-Bulk | PBEsol | relaxed
data_YPOs
_cell_length_a 6.296
_cell_length_b 6.296
_cell_length_c 6.296
_cell_angle_alpha 90.00
_cell_angle_beta 90.00
_cell_angle_gamma 90.00
_symmetry_space_group_name_H-M 'F -4 3 m'
_symmetry_Int_Tables_number 216
_symmetry_space_group_name_Hall 'F -4 2 3'
loop_
_atom_site_label
_atom_site_fract_x
_atom_site_fract_y
_atom_site_fract_z
Y1 0.000 0.000 0.000
P1 0.250 0.250 0.250
Os1 0.250 0.250 0.750
# Fermi-level density of states (states/eV/cell): 8.189
# Calculated density (g/cm3): 8.25
# Formation energy (eV per atom): 0.7288
# Size of the total moment (Bohr magnetons per cell): 0.00
# E (eV/atom): -7.55

***

Record 3
# Mo2RuBr | Alexandria via LeMat-Bulk | PBEsol | relaxed
data_Mo2RuBr
_cell_length_a 9.593
_cell_length_b 2.989
_cell_length_c 4.391
_cell_angle_alpha 90.00
_cell_angle_beta 93.06
_cell_angle_gamma 90.00
_symmetry_space_group_name_H-M 'C 1 2/m 1'
_symmetry_Int_Tables_number 12
loop_
_symmetry_equiv_pos_as_xyz
'x,y,z'
'-x,-y,-z'
'-x,y,-z'
'x,-y,z'
'x+1/2,y+1/2,z'
'-x+1/2,-y+1/2,-z'
'-x+1/2,y+1/2,-z'
'x+1/2,-y+1/2,z'
loop_
_atom_site_label
_atom_site_fract_x
_atom_site_fract_y
_atom_site_fract_z
Mo1 0.226 0.000 0.221
Ru1 0.000 0.500 0.000
Br1 0.000 0.000 0.500
# Distance to the lowest polymorph of the same formula (eV/atom): 0.040
# Fermi-level density of states (states/eV/cell): 6.534
# ΔE_f (raw) (eV/atom): 0.66
# Calculated density (g/cm3): 9.85
# Size of the total moment (Bohr magnetons per cell): 0.00
# E (eV/atom): -8.24

***

Record 4
# KBe2Al | Alexandria via LeMat-Bulk | PBEsol | relaxed
data_KBe2Al
_cell_length_a 2.906
_cell_length_b 2.906
_cell_length_c 7.904
_cell_angle_alpha 90.00
_cell_angle_beta 90.00
_cell_angle_gamma 90.00
_symmetry_space_group_name_H-M 'P 4 m m'
_symmetry_Int_Tables_number 99
loop_
_symmetry_equiv_pos_as_xyz
'x,y,z'
'-y,x,z'
'-x,-y,z'
'y,-x,z'
'-x,y,z'
'y,x,z'
'x,-y,z'
'-y,-x,z'
loop_
_atom_site_label
_atom_site_fract_x
_atom_site_fract_y
_atom_site_fract_z
K1 0.000 0.000 0.000
Be1 0.000 0.000 0.566
Be2 0.500 0.500 0.668
Al1 0.500 0.500 0.355
# Fermi-level density of states (states/eV/cell): 1.635
# Calculated density (g/cm3): 2.09
# Formation energy (eV per atom): 0.5353
# Size of the total moment (Bohr magnetons per cell): 0.00
# E (eV/atom): -2.77

***

Record 5
# Tm3In | Alexandria via LeMat-Bulk | PBEsol | relaxed
data_Tm3In
_cell_length_a 4.690
_cell_length_b 4.690
_cell_length_c 4.690
_cell_angle_alpha 90.00
_cell_angle_beta 90.00
_cell_angle_gamma 90.00
_symmetry_space_group_name_H-M 'P m -3 m'
_symmetry_Int_Tables_number 221
_symmetry_space_group_name_Hall '-P 4 2 3'
loop_
_atom_site_label
_atom_site_fract_x
_atom_site_fract_y
_atom_site_fract_z
Tm1 0.000 0.000 0.500
In1 0.500 0.500 0.500
# Fermi-level density of states (states/eV/cell): 4.574
# Calculated density (g/cm3): 10.01
# Formation energy (eV per atom): -0.2960
# Size of the total moment (Bohr magnetons per cell): 0.00
# E (eV/atom): -4.72

***

Record 6
# Sb2AsBr | Alexandria via LeMat-Bulk | PBEsol | relaxed
data_Sb2AsBr
_cell_length_a 11.079
_cell_length_b 3.769
_cell_length_c 6.618
_cell_angle_alpha 90.00
_cell_angle_beta 103.76
_cell_angle_gamma 90.00
........

-- Result --
# Distance to the lowest polymorph of the same formula (eV/atom): 0.034
# Formation energy (eV per atom): 0.0928
# E (eV/atom): -1.22
# Formation energy (eV per atom): 0.7288
# E (eV/atom): -7.55
# Distance to the lowest polymorph of the same formula (eV/atom): 0.040
# ΔE_f (raw) (eV/atom): 0.66
# E (eV/atom): -8.24
# Formation energy (eV per atom): 0.5353
# E (eV/atom): -2.77
# Formation energy (eV per atom): -0.2960
# E (eV/atom): -4.72